The Metal Magicians.

**These materials data were left in the piece by mistake:**
/*
Below is a geometry-optimized MgH4C4O4 structure, with properties calculated at the PBE level.

```
data_MgH4C4O4
_cell_length_a 11.530
_cell_length_b 10.161
_cell_length_c 18.941
_cell_angle_alpha 90.00
_cell_angle_beta 126.29
_cell_angle_gamma 90.00
_symmetry_space_group_name_H-M 'P 1'
_symmetry_Int_Tables_number 1
_symmetry_space_group_name_Hall 'P 1'
loop_
_atom_site_label
_atom_site_type_symbol
_atom_site_fract_x
_atom_site_fract_y
_atom_site_fract_z
Mg1 Mg 0.000 0.000 0.000
Mg2 Mg 0.000 0.500 0.500
Mg3 Mg 0.062 0.126 0.302
Mg4 Mg 0.062 0.374 0.802
Mg5 Mg 0.119 0.071 0.864
Mg6 Mg 0.119 0.429 0.364
Mg7 Mg 0.500 0.000 0.000
Mg8 Mg 0.500 0.500 0.500
Mg9 Mg 0.881 0.571 0.636
Mg10 Mg 0.881 0.929 0.136
Mg11 Mg 0.938 0.626 0.198
Mg12 Mg 0.938 0.874 0.698
H1 H 0.012 0.729 0.873
H2 H 0.012 0.771 0.373
H3 H 0.037 0.618 0.075
H4 H 0.037 0.882 0.575
H5 H 0.252 0.740 0.288
H6 H 0.252 0.760 0.788
H7 H 0.272 0.638 0.585
H8 H 0.272 0.862 0.085
H9 H 0.280 0.235 0.662
H10 H 0.280 0.265 0.162
H11 H 0.284 0.175 0.537
H12 H 0.284 0.325 0.037
H13 H 0.291 0.065 0.263
H14 H 0.291 0.435 0.763
H15 H 0.372 0.075 0.785
H16 H 0.372 0.425 0.285
H17 H 0.374 0.542 0.031
H18 H 0.374 0.958 0.531
H19 H 0.466 0.703 0.154
H20 H 0.466 0.797 0.654
H21 H 0.467 0.642 0.282
H22 H 0.467 0.858 0.782
H23 H 0.484 0.215 0.473
H24 H 0.484 0.285 0.973
H25 H 0.516 0.715 0.027
H26 H 0.516 0.785 0.527
H27 H 0.533 0.142 0.218
H28 H 0.533 0.358 0.718
H29 H 0.534 0.203 0.346
H30 H 0.534 0.297 0.846
H31 H 0.626 0.042 0.469
H32 H 0.626 0.458 0.969
H33 H 0.628 0.575 0.715
H34 H 0.628 0.925 0.215
H35 H 0.709 0.565 0.237
H36 H 0.709 0.935 0.737
H37 H 0.716 0.675 0.963
H38 H 0.716 0.825 0.463
H39 H 0.720 0.735 0.838
H40 H 0.720 0.765 0.338
H41 H 0.728 0.138 0.915
H42 H 0.728 0.362 0.415
H43 H 0.748 0.240 0.212
H44 H 0.748 0.260 0.712
H45 H 0.963 0.118 0.425
H46 H 0.963 0.382 0.925
H47 H 0.988 0.229 0.627
H48 H 0.988 0.271 0.127
C1 C 0.001 0.652 0.828
C2 C 0.001 0.848 0.328
C3 C 0.006 0.722 0.072
C4 C 0.006 0.778 0.572
C5 C 0.183 0.038 0.204
C6 C 0.183 0.462 0.704
C7 C 0.270 0.655 0.330
C8 C 0.270 0.845 0.830
C9 C 0.277 0.584 0.536
C10 C 0.277 0.916 0.036
C11 C 0.321 0.139 0.661
C12 C 0.321 0.361 0.161
C13 C 0.323 0.105 0.590
C14 C 0.323 0.395 0.090
C15 C 0.367 0.235 0.432
C16 C 0.367 0.265 0.932
C17 C 0.372 0.049 0.730
C18 C 0.372 0.451 0.230
C19 C 0.375 0.517 0.087
C20 C 0.375 0.983 0.587
C21 C 0.426 0.573 0.227
C22 C 0.426 0.607 0.156
C23 C 0.426 0.893 0.656
C24 C 0.426 0.927 0.727
C25 C 0.574 0.073 0.273
C26 C 0.574 0.107 0.344
C27 C 0.574 0.393 0.844
C28 C 0.574 0.427 0.773
C29 C 0.625 0.017 0.413
C30 C 0.625 0.483 0.913
C31 C 0.628 0.549 0.770
C32 C 0.628 0.951 0.270
C33 C 0.633 0.735 0.068
C34 C 0.633 0.765 0.568
C35 C 0.677 0.605 0.910
C36 C 0.677 0.895 0.410
C37 C 0.679 0.639 0.839
C38 C 0.679 0.861 0.339
C39 C 0.723 0.084 0.964
C40 C 0.723 0.416 0.464
C41 C 0.730 0.155 0.170
C42 C 0.730 0.345 0.670
C43 C 0.817 0.538 0.296
C44 C 0.817 0.962 0.796
C45 C 0.994 0.222 0.428
*/


Some people are very skilful at what they do.

If you set out in a small boat to row or sail to Sweden without a modern satnav or even a compass, how would you know which way to go? If you had someone with you who could guide you, so that after three or four days and nights you arrived safely at the very place you wished to go to, wouldn’t you admire their knowledge and their skill? And wouldn’t you wonder just how they had done it. It would seem to be almost like a magic trick, especially if you truly believed in REAL magic. Early navigators were held in awe for the knowledge they possessed.

Until more recent times people who seemed to have medical knowledge were held in the same kind of wonder. Even today, what we might call witch doctors still hold positions of great power in many societies. We might think that what they offer is like a kind of ‘magic’ based upon their special secret understandings that are passed from one to another.

Amongst the Anglo-Saxons the men who worked metal had a similar kind of status to that of a chemist or a leading-edge scientist today. The metal workers had special abilities. They could transform rocks into metal by a special process that only they understood and then the metal could be transformed again into a variety of very important tools or equipment and even into precious objects. They understood the alchemy of heat and liquid metal, the meaning of the different coloured bands in hot metal, of quenching in different liquids, of adding ingredients such as charcoal to change the nature of the material, of the subtle effects of striking the metal, stretching it, forming it and joining it. They knew more than you know today - probably. You could not do what they did.

            The things they produced were valuable, such as containers, chains, armour, weapons and jewellery. The sharpness of their blades went beyond the everyday understanding of mere mortals. Knives were of particular importance and sharpening them came to have special symbolic significance. In the Sutton Hoo ship-burial the king had a sceptre with an intricately modelled, bronze Stag as its capping. Could you make that stag?

The major part of the shaft of this sceptre was a long fine-grained whetstone with carved heads at the ends. This object might have signified the power that the king possessed which could be transmitted to his followers. Could theirs be the sharpest blades capable of overcoming their enemies with a single blow? Maybe the power of sharpness could flow from this stone into the metal as we might think of an electric current today? We can only speculate, but it would seem that this blade-sharpening stone was the ultimate symbol of the king’s power.

Certain swords had individual names and were passed from one warrior to another. The exploits of swords were recounted in their stories. Modern soldiers might dismantle their weapons, oil them, polish them, re-assemble them, hone their bayonets and check, check, check everything. Finally, they may turn to a religious symbol to hope for divine protection, for when life is about to be put at serious risk, your offensive tools could be your best defensive protection. You might come to believe that your sword protects and carries your spirit. You will be tested together. You will rely on it to save you. If your sword had touched the king’s whetstone, could it have given your sword the protective power that you need?


The blacksmith was a very special person. Powerful leaders needed such men. A king would have his own highly skilled smith, so that he could ask for certain objects to be made and could possess custom metalwork of the highest quality. Alliances were forged (literally) by giving gifts. Powerful warriors kept their bands together by sharing their wealth and goods. Together they were like a ruthless, armed, fighting rugby team that ate together, got drunk together, travelled together and fought together. Armies today may still use the same bonds of comradeship to bring together and cement a fighting unit. We still understand the words ‘Band of Brothers’ that was probably in use long before Shakespeare put these words into the mouth of King Henry V just before battle.


Today we know that the weapons men hold and the protective armour that they have around them, will be all-important when it comes to the fight. The Anglo-Saxons also knew this and they knew that these things came from the hands of the smiths. If another man’s sword strikes your sword and shatters it, to leave you unarmed in the midst of battle you will probably pay with your life. As you entered any battle you had to have the utmost faith and the deepest belief in the sword in your hand and the men that produced it. The better the smith, the better the swords, shields, spears, axes, helmets and protective clothes could be. These objects represented the forefront of technological exploration and scientific understanding at that time. The men who could produce them to the highest quality were clever then and they would be clever now.

Their status was close to being metal magicians.                                                       Whetstone image from Remaking the Sutton Hoo Stone

The Ansell-Roper Replica and its context.

Paul Mortimer & Stephen Pollington.